-- begin --
Theoretical powder diffractogram of Mg4Ag3 for λ = 1.5418 Å (Cu Kα), from a structure optimized by DFT (GGA-PBE).
Lines closer than 0.1° are merged.

Largest 6 diffraction maxima, low angle first, 2θ = 5–70°:
hkl 1 0 0, 12.90 deg, I = 31; hkl 1 0 1, 22.47 deg, I = 30; hkl 2 1 0, 34.57 deg, I = 33; hkl 0 0 2, 37.17 deg, I = 27; hkl 2 1 1, 39.41 deg, I = 100; hkl 2 1 2, 51.65 deg, I = 24

Atomic structure:
a b c (Å): 7.9264 7.9264 4.8382
angles (deg): 90.00 90.00 120.00
Space group P6_3/m (No. 176)
Symmetry-distinct sites (fractional):
Mg  0.0338  0.2440  0.2500
Mg  0.3333  0.6667  0.2500
Ag  0.0908  0.4688  0.7500

Theoretical powder diffractogram of MgAgSO for λ = 1.5418 Å (Cu Kα), from a structure optimized by DFT (GGA-PBE).
Lines closer than 0.1° are merged.

Largest 6 diffraction maxima, low angle first, 2θ = 5–70°:
hkl 0 2 0, 13.39 deg, I = 32; hkl 0 2 1, 21.77 deg, I = 47; hkl 1 1 1, 29.80 deg, I = 42; hkl 1 3 0, 30.96 deg, I = 100; hkl 0 0 2, 34.57 deg, I = 44; hkl 1 3 2, 47.08 deg, I = 55

Atomic structure:
a b c (Å): 3.823 13.221 5.189
angles (deg): 90.00 90.00 90.00
Space group Cmc2_1 (No. 36)
Symmetry-distinct sites (fractional):
Mg  0.000  0.067  0.000
Ag  0.000  0.336  0.087
S  0.000  0.320  0.599
O  0.000  0.069  0.627

Theoretical powder diffractogram of MgAgSO for λ = 1.5418 Å (Cu Kα), from a structure optimized by DFT (GGA-PBE).
Lines closer than 0.1° are merged.

Largest 6 diffraction maxima, low angle first, 2θ = 5–70°:
hkl 0 2 1, 20.13 deg, I = 89; hkl 0 0 2, 32.94 deg, I = 65; hkl 0 6 0, 35.72 deg, I = 52; hkl 1 1 1, 36.12 deg, I = 40; hkl 1 3 0, 36.28 deg, I = 88; hkl 1 3 2, 49.80 deg, I = 100

Atomic structure:
a b c (Å): 2.845 15.082 5.439
angles (deg): 90.00 90.00 90.00
Space group Cmcm (No. 63)
Symmetry-distinct sites (fractional):
Mg  0.000  0.029  0.250
Ag  0.000  0.340  0.250
S  0.000  0.307  0.750
O  0.000  0.500  0.000
-- stop --
Duplicate the block further above without altering anything.
Theoretical powder diffractogram of Mg4Ag3 for λ = 1.5418 Å (Cu Kα), from a structure optimized by DFT (GGA-PBE).
Lines closer than 0.1° are merged.

Largest 6 diffraction maxima, low angle first, 2θ = 5–70°:
hkl 1 0 0, 12.90 deg, I = 31; hkl 1 0 1, 22.47 deg, I = 30; hkl 2 1 0, 34.57 deg, I = 33; hkl 0 0 2, 37.17 deg, I = 27; hkl 2 1 1, 39.41 deg, I = 100; hkl 2 1 2, 51.65 deg, I = 24

Atomic structure:
a b c (Å): 7.9264 7.9264 4.8382
angles (deg): 90.00 90.00 120.00
Space group P6_3/m (No. 176)
Symmetry-distinct sites (fractional):
Mg  0.0338  0.2440  0.2500
Mg  0.3333  0.6667  0.2500
Ag  0.0908  0.4688  0.7500

Theoretical powder diffractogram of MgAgSO for λ = 1.5418 Å (Cu Kα), from a structure optimized by DFT (GGA-PBE).
Lines closer than 0.1° are merged.

Largest 6 diffraction maxima, low angle first, 2θ = 5–70°:
hkl 0 2 0, 13.39 deg, I = 32; hkl 0 2 1, 21.77 deg, I = 47; hkl 1 1 1, 29.80 deg, I = 42; hkl 1 3 0, 30.96 deg, I = 100; hkl 0 0 2, 34.57 deg, I = 44; hkl 1 3 2, 47.08 deg, I = 55

Atomic structure:
a b c (Å): 3.823 13.221 5.189
angles (deg): 90.00 90.00 90.00
Space group Cmc2_1 (No. 36)
Symmetry-distinct sites (fractional):
Mg  0.000  0.067  0.000
Ag  0.000  0.336  0.087
S  0.000  0.320  0.599
O  0.000  0.069  0.627

Theoretical powder diffractogram of MgAgSO for λ = 1.5418 Å (Cu Kα), from a structure optimized by DFT (GGA-PBE).
Lines closer than 0.1° are merged.

Largest 6 diffraction maxima, low angle first, 2θ = 5–70°:
hkl 0 2 1, 20.13 deg, I = 89; hkl 0 0 2, 32.94 deg, I = 65; hkl 0 6 0, 35.72 deg, I = 52; hkl 1 1 1, 36.12 deg, I = 40; hkl 1 3 0, 36.28 deg, I = 88; hkl 1 3 2, 49.80 deg, I = 100

Atomic structure:
a b c (Å): 2.845 15.082 5.439
angles (deg): 90.00 90.00 90.00
Space group Cmcm (No. 63)
Symmetry-distinct sites (fractional):
Mg  0.000  0.029  0.250
Ag  0.000  0.340  0.250
S  0.000  0.307  0.750
O  0.000  0.500  0.000